+++
## Bi3PbWClO8 (GGA+U)

Data for a relaxed structure of Bi3PbWClO8.

As for the calculated density: 8.67 Mg/m³. The calculation puts the energy relative to the elements at -170.3 kJ per mole of atoms. As for the total energy: -84.546 eV/f.u. The calculation puts the magnetic moment at 0.00 μB/cell.

It has space group P4mm (No. 99), with a = 3.894 Å, b = 3.894 Å, c = 14.914 Å, α = 90.00°, β = 90.00° and γ = 90.00°. Symmetry generates all atoms from Bi at (0.000, 0.000, 0.000), Bi at (0.000, 0.000, 0.273), Bi at (0.500, 0.500, 0.829), Pb at (0.500, 0.500, 0.445), W at (0.000, 0.000, 0.643), Cl at (0.500, 0.500, 0.124), O at (0.000, 0.000, 0.519), O at (0.000, 0.000, 0.779), O at (0.000, 0.500, 0.345), O at (0.000, 0.500, 0.651) and O at (0.000, 0.500, 0.922).

* * * * *

# Ba2Pr4MgCu2O10, relaxed, DFT PBE
data_Ba2Pr4MgCu2O10
_space_group_name_H-M_alt 'P 1 m 1'
_space_group_IT_number 6
_cell_length_a 6.952
_cell_length_b 5.931
_cell_length_c 7.662
_cell_angle_alpha 90.00
_cell_angle_beta 98.41
_cell_angle_gamma 90.00
loop_
_space_group_symop_operation_xyz
'x,y,z'
'x,-y,z'
loop_
_atom_site_label
_atom_site_fract_x
_atom_site_fract_y
_atom_site_fract_z
_atom_site_occupancy
Ba1 0.000 0.000 0.000 1
Ba2 0.439 0.000 0.590 1
Pr1 0.098 0.500 0.755 1
Pr2 0.306 0.500 0.262 1
Pr3 0.589 0.500 0.930 1
Pr4 0.867 0.500 0.320 1
Mg1 0.646 0.500 0.571 1
Cu1 0.481 0.000 0.150 1
Cu2 0.949 0.000 0.557 1
O1 0.100 0.254 0.447 1
O2 0.326 0.258 0.987 1
O3 0.411 0.500 0.663 1
O4 0.579 0.271 0.344 1
O5 0.803 0.263 0.726 1
O6 0.954 0.500 0.056 1
# Formation energy   -2.612 eV per atom
# Offset from the most stable computed form   0.0614 eV/atom
+++

Duplicate only the last part of the listing earlier on, starting with the line that has "_cell_angle_alpha 90.00".

_cell_angle_alpha 90.00
_cell_angle_beta 98.41
_cell_angle_gamma 90.00
loop_
_space_group_symop_operation_xyz
'x,y,z'
'x,-y,z'
loop_
_atom_site_label
_atom_site_fract_x
_atom_site_fract_y
_atom_site_fract_z
_atom_site_occupancy
Ba1 0.000 0.000 0.000 1
Ba2 0.439 0.000 0.590 1
Pr1 0.098 0.500 0.755 1
Pr2 0.306 0.500 0.262 1
Pr3 0.589 0.500 0.930 1
Pr4 0.867 0.500 0.320 1
Mg1 0.646 0.500 0.571 1
Cu1 0.481 0.000 0.150 1
Cu2 0.949 0.000 0.557 1
O1 0.100 0.254 0.447 1
O2 0.326 0.258 0.987 1
O3 0.411 0.500 0.663 1
O4 0.579 0.271 0.344 1
O5 0.803 0.263 0.726 1
O6 0.954 0.500 0.056 1
# Formation energy   -2.612 eV per atom
# Offset from the most stable computed form   0.0614 eV/atom